[Job]
Next, transcribe the entries further down from the line with "-2.101 eV" to the end word for word.
[Contents]
<<<
Density functional theory data (meta-GGA r2SCAN) for a geometry-optimized Lu3Sc structure.

Cell lengths 6.9530, 6.9530, 5.3778 Å; angles 90.00, 90.00, 120.00 degrees
Positions (direct):
Lu  0.1682  0.3364  0.2500
Lu  0.1682  0.8318  0.2500
Lu  0.3364  0.1682  0.7500
Lu  0.6636  0.8318  0.2500
Lu  0.8318  0.1682  0.7500
Lu  0.8318  0.6636  0.7500
Sc  0.3333  0.6667  0.7500
Sc  0.6667  0.3333  0.2500

The formation energy is 2 kJ/mol of atoms. The space-group type is P6_3/mmc (194). As for the crystal system: hexagonal.

* * * * *

(1)
Material: Li4MnP2O9
Method: DFT, PBE+U
State: optimized geometry

Cell lengths 6.754, 14.604, 14.210 Å; angles 90.00, 90.00, 90.00 degrees
Space group Pbca (No. 61)
Unique sites:
Li1 0.000 0.128 0.132
Li2 0.183 0.226 0.528
Li3 0.222 0.504 0.997
Li4 0.246 0.027 0.747
Mn1 0.248 0.735 0.752
P1 0.001 0.114 0.896
P2 0.003 0.117 0.360
O1 0.001 0.671 0.512
O2 0.002 0.510 0.589
O3 0.003 0.244 0.700
O4 0.005 0.042 0.284
O5 0.008 0.083 0.462
O6 0.189 0.133 0.835
O7 0.192 0.676 0.150
O8 0.193 0.179 0.351
O9 0.193 0.637 0.661

Its energy of formation from the pure elements is -2.506 eV per atom. The calculation puts the polymorph energy (0 for the lowest one) at 42 meV per atom. The calculated total energy comes out at -0.4796 Ry/atom.

***

(2)
Material: MgFe6O6F6
Method: DFT, PBE+U
State: optimized geometry

Cell lengths 3.037, 5.148, 14.537 Å; angles 98.30, 90.02, 90.00 degrees
Space group P1 (No. 1)
Unique sites:
Mg1 0.000 0.000 0.000
Fe1 0.005 0.013 0.514
Fe2 0.005 0.019 0.195
Fe3 0.005 0.140 0.818
Fe4 0.501 0.500 0.020
Fe5 0.505 0.522 0.670
Fe6 0.506 0.530 0.349
O1 0.005 0.412 0.736
O2 0.501 0.154 0.931
O3 0.502 0.868 0.100
O4 0.505 0.202 0.258
O5 0.505 0.222 0.569
O6 0.505 0.837 0.436
F1 0.000 0.645 0.939
F2 0.002 0.320 0.098
F3 0.005 0.692 0.270
F4 0.006 0.369 0.409
F5 0.006 0.721 0.599
F6 0.505 0.886 0.753

Its energy of formation from the pure elements is -2.101 eV per atom. The calculation puts the polymorph energy (0 for the lowest one) at 43 meV per atom. The calculated total energy comes out at -0.4374 Ry/atom.

***

(3)
Material: Nd3VGeO9
Method: DFT, PBE+U
State: optimized geometry

Cell lengths 7.138, 12.616, 9.942 Å; angles 90.00, 115.44, 90.00 degrees
Space group P2_1/c (No. 14)
Unique sites:
Nd1 0.049 0.131 0.379
Nd2 0.367 0.607 0.873
Nd3 0.397 0.136 0.156
V1 0.219 0.663 0.521
Ge1 0.192 0.101 0.742
O1 0.026 0.159 0.129
O2 0.064 0.575 0.908
O3 0.174 0.172 0.888
O4 0.243 0.749 0.165
O5 0.280 0.532 0.277
O6 0.288 0.544 0.619
O7 0.313 0.169 0.641
O8 0.380 0.080 0.384
O9 0.398 0.711 0.463

Its energy of formation from the pure elements is -3.216 eV per atom. The calculated total energy comes out at -0.5759 Ry/atom.

***

(4)
Material: Li4V3P8O29
Method: DFT, PBE+U
State: optimized geometry

Cell lengths 9.766, 9.772, 14.143 Å; angles 89.82, 89.49, 60.16 degrees
Space group P1 (No. 1)
Unique sites:
Li1 0.000 0.000 0.000
Li2 0.015 0.855 0.497
Li3 0.350 0.320 0.616
Li4 0.372 0.176 0.123
Li5 0.587 0.418 0.502
Li6 0.694 0.045 0.556
Li7 0.767 0.314 0.119
Li8 0.912 0.765 0.120
V1 0.116 0.096 0.802
V2 0.117 0.655 0.308
V3 0.251 0.523 0.815
V4 0.253 0.085 0.315
V5 0.682 0.527 0.313
V6 0.683 0.655 0.808
P1 0.000 0.860 0.718
P2 0.004 0.003 0.216
P3 0.016 0.420 0.192
P4 0.018 0.426 0.689
P5 0.347 0.762 0.928
P6 0.350 0.753 0.430
P7 0.364 0.175 0.905
P8 0.366 0.319 0.402
P9 0.456 0.405 0.221
P10 0.465 0.003 0.722
P11 0.596 0.401 0.718
P12 0.599 0.859 0.219
P13 0.767 0.783 0.403
P14 0.771 0.317 0.900
P15 0.904 0.172 0.400
P16 0.909 0.771 0.899
O1 0.000 0.421 0.087
O2 0.011 0.576 0.227
O3 0.014 0.277 0.735
O4 0.021 0.837 0.218
O5 0.022 0.416 0.585
O6 0.034 0.998 0.729
O7 0.061 0.171 0.393
O8 0.062 0.610 0.882
O9 0.154 0.702 0.733
O10 0.163 0.993 0.239
O11 0.167 0.274 0.231
O12 0.172 0.418 0.729
O13 0.195 0.764 0.392
O14 0.199 0.910 0.888
O15 0.205 0.184 0.880
O16 0.211 0.472 0.389
O17 0.303 0.007 0.729
O18 0.304 0.565 0.238
O19 0.338 0.345 0.891
O20 0.340 0.614 0.882
O21 0.341 0.176 0.393
>>>
[Solution]
Its energy of formation from the pure elements is -2.101 eV per atom. The calculation puts the polymorph energy (0 for the lowest one) at 43 meV per atom. The calculated total energy comes out at -0.4374 Ry/atom.

***

(3)
Material: Nd3VGeO9
Method: DFT, PBE+U
State: optimized geometry

Cell lengths 7.138, 12.616, 9.942 Å; angles 90.00, 115.44, 90.00 degrees
Space group P2_1/c (No. 14)
Unique sites:
Nd1 0.049 0.131 0.379
Nd2 0.367 0.607 0.873
Nd3 0.397 0.136 0.156
V1 0.219 0.663 0.521
Ge1 0.192 0.101 0.742
O1 0.026 0.159 0.129
O2 0.064 0.575 0.908
O3 0.174 0.172 0.888
O4 0.243 0.749 0.165
O5 0.280 0.532 0.277
O6 0.288 0.544 0.619
O7 0.313 0.169 0.641
O8 0.380 0.080 0.384
O9 0.398 0.711 0.463

Its energy of formation from the pure elements is -3.216 eV per atom. The calculated total energy comes out at -0.5759 Ry/atom.

***

(4)
Material: Li4V3P8O29
Method: DFT, PBE+U
State: optimized geometry

Cell lengths 9.766, 9.772, 14.143 Å; angles 89.82, 89.49, 60.16 degrees
Space group P1 (No. 1)
Unique sites:
Li1 0.000 0.000 0.000
Li2 0.015 0.855 0.497
Li3 0.350 0.320 0.616
Li4 0.372 0.176 0.123
Li5 0.587 0.418 0.502
Li6 0.694 0.045 0.556
Li7 0.767 0.314 0.119
Li8 0.912 0.765 0.120
V1 0.116 0.096 0.802
V2 0.117 0.655 0.308
V3 0.251 0.523 0.815
V4 0.253 0.085 0.315
V5 0.682 0.527 0.313
V6 0.683 0.655 0.808
P1 0.000 0.860 0.718
P2 0.004 0.003 0.216
P3 0.016 0.420 0.192
P4 0.018 0.426 0.689
P5 0.347 0.762 0.928
P6 0.350 0.753 0.430
P7 0.364 0.175 0.905
P8 0.366 0.319 0.402
P9 0.456 0.405 0.221
P10 0.465 0.003 0.722
P11 0.596 0.401 0.718
P12 0.599 0.859 0.219
P13 0.767 0.783 0.403
P14 0.771 0.317 0.900
P15 0.904 0.172 0.400
P16 0.909 0.771 0.899
O1 0.000 0.421 0.087
O2 0.011 0.576 0.227
O3 0.014 0.277 0.735
O4 0.021 0.837 0.218
O5 0.022 0.416 0.585
O6 0.034 0.998 0.729
O7 0.061 0.171 0.393
O8 0.062 0.610 0.882
O9 0.154 0.702 0.733
O10 0.163 0.993 0.239
O11 0.167 0.274 0.231
O12 0.172 0.418 0.729
O13 0.195 0.764 0.392
O14 0.199 0.910 0.888
O15 0.205 0.184 0.880
O16 0.211 0.472 0.389
O17 0.303 0.007 0.729
O18 0.304 0.565 0.238
O19 0.338 0.345 0.891
O20 0.340 0.614 0.882
O21 0.341 0.176 0.393